(Given)
____________
Starting from a structure optimized by DFT (GGA-PBE), the powder XRD pattern of Sr3Sc2Cu2S2O5 was simulated for λ = 1.5418 Å (Cu Kα).
Neutral-atom scattering factors, no anomalous dispersion.

Principal peaks in the range 10 to 80 degrees two-theta, sorted by position:
Position (°2θ)	d [Å]	I (rel.)
30.87	2.897	20
31.64	2.828	20
32.43	2.761	100
33.85	2.648	15
37.27	2.413	61
44.22	2.048	55
55.90	1.645	40
58.81	1.570	28
64.32	1.448	17
76.76	1.242	12

Cell and atoms:
Unit cell a=13.3961 b=13.3961 c=13.3961 alpha=162.41 beta=162.41 gamma=24.97
Fractional positions:
Sr (0.0000, 0.0000, 0.0000)
Sr (0.1449, 0.1449, 0.0000)
Sr (0.8551, 0.8551, 0.0000)
Sc (0.4237, 0.4237, 0.0000)
Sc (0.5763, 0.5763, 0.0000)
Cu (0.2500, 0.7500, 0.5000)
Cu (0.7500, 0.2500, 0.5000)
S (0.3008, 0.3008, 0.0000)
S (0.6992, 0.6992, 0.0000)
O (0.0867, 0.5867, 0.5000)
O (0.4133, 0.9133, 0.5000)
O (0.5000, 0.5000, 0.0000)
O (0.5867, 0.0867, 0.5000)
O (0.9133, 0.4133, 0.5000)

***

Starting from a structure optimized by DFT (GGA-PBE), the powder XRD pattern of MgTi2P2O10 was simulated for λ = 1.5418 Å (Cu Kα).
Neutral-atom scattering factors, no anomalous dispersion.

Principal peaks in the range 10 to 80 degrees two-theta, sorted by position:
Position (°2θ)	d [Å]	I (rel.)
15.54	5.704	24
18.96	4.681	25
27.11	3.289	63
29.39	3.039	36
30.84	2.900	100
31.24	2.863	63
31.37	2.852	39
36.73	2.447	24
44.43	2.039	21
53.04	1.727	26

Cell and atoms:
Unit cell a=8.9984 b=6.7273 c=10.0178 alpha=61.34 beta=41.00 gamma=77.66
Fractional positions:
Mg (0.0000, 0.0000, 0.0000)
Mg (0.2500, 0.2500, 0.2500)
Ti (0.1508, 0.6240, 0.6121)
Ti (0.6240, 0.1508, 0.6132)
Ti (0.6368, 0.6379, 0.6260)
Ti (0.6379, 0.6368, 0.0992)
P (0.0498, 0.4700, 0.0331)
P (0.2169, 0.8028, 0.2002)
P (0.4700, 0.0498, 0.4472)
P (0.8028, 0.2169, 0.7800)
O (0.0113, 0.3393, 0.6884)
O (0.0747, 0.3803, 0.8995)
O (0.2000, 0.8912, 0.3283)
O (0.2572, 0.9170, 0.5509)
O (0.2890, 0.5616, 0.9107)
O (0.3393, 0.0113, 0.9610)
O (0.3505, 0.6045, 0.1753)
O (0.3803, 0.0747, 0.6455)
O (0.4313, 0.5889, 0.4068)
O (0.5616, 0.2890, 0.2387)
O (0.5889, 0.4313, 0.5730)
O (0.6045, 0.3505, 0.8697)
O (0.6695, 0.9217, 0.3588)
O (0.6770, 0.8432, 0.6611)
O (0.6991, 0.9751, 0.9928)
O (0.8432, 0.6770, 0.8187)
O (0.8912, 0.2000, 0.5805)
O (0.9170, 0.2572, 0.2749)
O (0.9217, 0.6695, 0.0500)
O (0.9751, 0.6991, 0.3330)

***

Starting from a structure optimized by DFT (GGA-PBE), the powder XRD pattern of Ce6Al3Fe11 was simulated for λ = 1.5418 Å (Cu Kα).
Neutral-atom scattering factors, no anomalous dispersion.

Principal peaks in the range 10 to 80 degrees two-theta, sorted by position:
Position (°2θ)	d [Å]	I (rel.)
27.35	3.261	100
31.09	2.876	30
31.92	2.804	71
34.88	2.573	75
37.83	2.378	52
38.64	2.330	40
39.56	2.278	59
41.03	2.200	31
46.19	1.965	45
58.70	1.573	30

Cell and atoms:
Unit cell a=12.4118 b=12.4118 c=12.4118 alpha=141.74 beta=141.74 gamma=55.22
Fractional positions:
Ce (0.0000, 0.0000, 0.0000)
Ce (0.0834, 0.2516, 0.5000)
Ce (0.1270, 0.9758, 0.5000)
Ce (0.2131, 0.2131, 0.0000)
Ce (0.2516, 0.7516, 0.1682)
Ce (0.4758, 0.6270, 0.5000)
Ce (0.5000, 0.5000, 0.0000)
Ce (0.5834, 0.0834, 0.8318)
Ce (0.6270, 0.1270, 0.1511)
Ce (0.7131, 0.7131, 0.0000)
Ce (0.7516, 0.5834, 0.5000)
Ce (0.9758, 0.4758, 0.8489)
Al (0.0858, 0.5858, 0.2616)
Al (0.3242, 0.8242, 0.7384)
Al (0.3564, 0.3564, 0.0000)
Al (0.5858, 0.3242, 0.5000)
Al (0.8242, 0.0858, 0.5000)
Al (0.8564, 0.8564, 0.0000)
Fe (0.0371, 0.3175, 0.1438)
Fe (0.1057, 0.6057, 0.5000)
Fe (0.1209, 0.6209, 0.7293)
Fe (0.1737, 0.8933, 0.8562)
Fe (0.2217, 0.3652, 0.5000)
Fe (0.3175, 0.1737, 0.2804)
Fe (0.3441, 0.4926, 0.5000)
Fe (0.3652, 0.8652, 0.1435)
Fe (0.3916, 0.1209, 0.5000)
Fe (0.3933, 0.6737, 0.8562)
Fe (0.4926, 0.9926, 0.1485)
Fe (0.5371, 0.3933, 0.7196)
Fe (0.6057, 0.1057, 0.5000)
Fe (0.6209, 0.8916, 0.5000)
Fe (0.6737, 0.8175, 0.2804)
Fe (0.7217, 0.2217, 0.8565)
Fe (0.8175, 0.5371, 0.1438)
Fe (0.8441, 0.3441, 0.8515)
Fe (0.8652, 0.7217, 0.5000)
Fe (0.8916, 0.3916, 0.2707)
Fe (0.8933, 0.0371, 0.7196)
____________

(Assignment)
Could you repeat the lines further up up to the one that holds "Ce6Al3Fe11 was", that line included?

(Reply)
Starting from a structure optimized by DFT (GGA-PBE), the powder XRD pattern of Sr3Sc2Cu2S2O5 was simulated for λ = 1.5418 Å (Cu Kα).
Neutral-atom scattering factors, no anomalous dispersion.

Principal peaks in the range 10 to 80 degrees two-theta, sorted by position:
Position (°2θ)	d [Å]	I (rel.)
30.87	2.897	20
31.64	2.828	20
32.43	2.761	100
33.85	2.648	15
37.27	2.413	61
44.22	2.048	55
55.90	1.645	40
58.81	1.570	28
64.32	1.448	17
76.76	1.242	12

Cell and atoms:
Unit cell a=13.3961 b=13.3961 c=13.3961 alpha=162.41 beta=162.41 gamma=24.97
Fractional positions:
Sr (0.0000, 0.0000, 0.0000)
Sr (0.1449, 0.1449, 0.0000)
Sr (0.8551, 0.8551, 0.0000)
Sc (0.4237, 0.4237, 0.0000)
Sc (0.5763, 0.5763, 0.0000)
Cu (0.2500, 0.7500, 0.5000)
Cu (0.7500, 0.2500, 0.5000)
S (0.3008, 0.3008, 0.0000)
S (0.6992, 0.6992, 0.0000)
O (0.0867, 0.5867, 0.5000)
O (0.4133, 0.9133, 0.5000)
O (0.5000, 0.5000, 0.0000)
O (0.5867, 0.0867, 0.5000)
O (0.9133, 0.4133, 0.5000)

***

Starting from a structure optimized by DFT (GGA-PBE), the powder XRD pattern of MgTi2P2O10 was simulated for λ = 1.5418 Å (Cu Kα).
Neutral-atom scattering factors, no anomalous dispersion.

Principal peaks in the range 10 to 80 degrees two-theta, sorted by position:
Position (°2θ)	d [Å]	I (rel.)
15.54	5.704	24
18.96	4.681	25
27.11	3.289	63
29.39	3.039	36
30.84	2.900	100
31.24	2.863	63
31.37	2.852	39
36.73	2.447	24
44.43	2.039	21
53.04	1.727	26

Cell and atoms:
Unit cell a=8.9984 b=6.7273 c=10.0178 alpha=61.34 beta=41.00 gamma=77.66
Fractional positions:
Mg (0.0000, 0.0000, 0.0000)
Mg (0.2500, 0.2500, 0.2500)
Ti (0.1508, 0.6240, 0.6121)
Ti (0.6240, 0.1508, 0.6132)
Ti (0.6368, 0.6379, 0.6260)
Ti (0.6379, 0.6368, 0.0992)
P (0.0498, 0.4700, 0.0331)
P (0.2169, 0.8028, 0.2002)
P (0.4700, 0.0498, 0.4472)
P (0.8028, 0.2169, 0.7800)
O (0.0113, 0.3393, 0.6884)
O (0.0747, 0.3803, 0.8995)
O (0.2000, 0.8912, 0.3283)
O (0.2572, 0.9170, 0.5509)
O (0.2890, 0.5616, 0.9107)
O (0.3393, 0.0113, 0.9610)
O (0.3505, 0.6045, 0.1753)
O (0.3803, 0.0747, 0.6455)
O (0.4313, 0.5889, 0.4068)
O (0.5616, 0.2890, 0.2387)
O (0.5889, 0.4313, 0.5730)
O (0.6045, 0.3505, 0.8697)
O (0.6695, 0.9217, 0.3588)
O (0.6770, 0.8432, 0.6611)
O (0.6991, 0.9751, 0.9928)
O (0.8432, 0.6770, 0.8187)
O (0.8912, 0.2000, 0.5805)
O (0.9170, 0.2572, 0.2749)
O (0.9217, 0.6695, 0.0500)
O (0.9751, 0.6991, 0.3330)

***

Starting from a structure optimized by DFT (GGA-PBE), the powder XRD pattern of Ce6Al3Fe11 was simulated for λ = 1.5418 Å (Cu Kα).